Source >
~~~
No. 1
This entry pairs a crystal structure of BC5 with its calculated PXRD pattern. Radiation: CuKα. Structure: a crystal structure in Alexandria, relaxed with PBE.
Neutral-atom scattering factors, no anomalous dispersion.

Atomic structure:
Unit cell a=2.520 b=7.825 c=3.662 alpha=90.00 beta=90.00 gamma=90.00
Fractional coordinates of all 12 atoms:
B: 0.250 0.000 0.168
B: 0.750 0.000 0.832
C: 0.250 0.181 0.380
C: 0.250 0.339 0.123
C: 0.250 0.500 0.376
C: 0.250 0.661 0.123
C: 0.250 0.819 0.380
C: 0.750 0.181 0.620
C: 0.750 0.339 0.877
C: 0.750 0.500 0.624
C: 0.750 0.661 0.877
C: 0.750 0.819 0.620

Main lines, sorted by position (10° ≤ 2θ ≤ 80°):
- 2θ = 11.31°, I 27
- 2θ = 42.55°, I 99
- 2θ = 43.60°, I 100
- 2θ = 72.47°, I 13
- 2θ = 73.53°, I 50
- 2θ = 75.44°, I 12

***

No. 2
This entry pairs a crystal structure of Sr4Si with its calculated PXRD pattern. Radiation: CuKα. Structure: a crystal structure in Alexandria, relaxed with PBE.
Neutral-atom scattering factors, no anomalous dispersion.

Atomic structure:
Unit cell a=6.221 b=6.221 c=6.221 alpha=90.00 beta=90.00 gamma=90.00
Fractional coordinates of all 5 atoms:
Sr: 0.000 0.000 0.000
Sr: 0.000 0.500 0.500
Sr: 0.500 0.000 0.500
Sr: 0.500 0.500 0.000
Si: 0.500 0.500 0.500

Main lines, sorted by position (10° ≤ 2θ ≤ 80°):
- 2θ = 24.79°, I 100
- 2θ = 28.70°, I 73
- 2θ = 41.03°, I 54
- 2θ = 48.53°, I 48
- 2θ = 65.39°, I 20
- 2θ = 67.31°, I 25

***

No. 3
This entry pairs a crystal structure of La2Bi3Rh4 with its calculated PXRD pattern. Radiation: CuKα. Structure: a crystal structure in Alexandria, relaxed with PBE.
Neutral-atom scattering factors, no anomalous dispersion.

Atomic structure:
Unit cell a=9.112 b=9.112 c=7.411 alpha=90.00 beta=90.00 gamma=138.98
Fractional coordinates of all 18 atoms:
La: 0.101 0.899 0.921
La: 0.399 0.601 0.421
La: 0.601 0.399 0.579
La: 0.899 0.101 0.079
Bi: 0.000 0.000 0.500
Bi: 0.011 0.489 0.750
Bi: 0.489 0.011 0.250
Bi: 0.500 0.500 0.000
Bi: 0.511 0.989 0.750
Bi: 0.989 0.511 0.250
Rh: 0.164 0.836 0.521
Rh: 0.175 0.325 0.750
Rh: 0.325 0.175 0.250
Rh: 0.336 0.664 0.021
Rh: 0.664 0.336 0.979
Rh: 0.675 0.825 0.750
Rh: 0.825 0.675 0.250
Rh: 0.836 0.164 0.479

Main lines, sorted by position (10° ≤ 2θ ≤ 80°):
- 2θ = 26.22°, I 32
- 2θ = 32.09°, I 60
- 2θ = 37.18°, I 100
- 2θ = 39.96°, I 43
- 2θ = 42.57°, I 29
- 2θ = 67.03°, I 33

***

No. 4
This entry pairs a crystal structure of YTl2GaS with its calculated PXRD pattern. Radiation: CuKα. Structure: a crystal structure in Alexandria, relaxed with PBE.
Neutral-atom scattering factors, no anomalous dispersion.

Atomic structure:
Unit cell a=5.165 b=5.165 c=5.730 alpha=90.00 beta=90.00 gamma=90.00
Fractional coordinates of all 5 atoms:
Y: 0.000 0.000 0.000
Tl: 0.000 0.500 0.500
Tl: 0.500 0.000 0.500
Ga: 0.000 0.000 0.500
S: 0.500 0.500 0.000

Main lines, sorted by position (10° ≤ 2θ ≤ 80°):
- 2θ = 15.46°, I 63
- 2θ = 28.99°, I 100
- 2θ = 31.22°, I 36
- 2θ = 34.73°, I 55
- 2θ = 38.22°, I 29
- 2θ = 47.39°, I 46

***

- What is the formula in the third record?
  La2Bi3Rh4

----------

(1)
Sr5P3O12F: simulated powder diffractogram (Cu Kα (λ = 1.5418 Å)), based on DFT lattice parameters and positions (PBE).
No peak broadening, texture or thermal motion is included.

Atomic structure:
a b c (Å): 9.8499 9.8499 7.3592
angles (deg): 90.00 90.00 120.00
Space group P6_3/m (No. 176)
Unique sites:
Sr  0.0114  0.2533  0.2500
Sr  0.3333  0.6667  0.9996
P  0.0312  0.3991  0.7500
O  0.0836  0.3442  0.5789
O  0.1187  0.5820  0.7500
O  0.1498  0.6698  0.2500
F  0.0000  0.0000  0.2500

Main lines, in order of rising 2θ (2θ from 15° to 90°):
| two_theta | I (rel.) | index |
| --- | --- | --- |
| 26.4 | 18 | 1 0 2 |
| 27.7 | 17 | 2 1 0 |
| 30.3 | 100 | 1 1 2 |
| 31.5 | 32 | 3 0 0 |
| 44.3 | 19 | 2 2 2 |
| 45.6 | 14 | 1 3 2 |
| 46.5 | 21 | 2 1 3 |
| 48.1 | 13 | 3 2 1 |
| 48.9 | 13 | 1 4 0 |
| 49.4 | 16 | 4 0 2 |

***

(2)
~~~

Wanted >
Now find the line further above that holds "28.99°,", then retype that line and all lines after it there.

Completed >
- 2θ = 28.99°, I 100
- 2θ = 31.22°, I 36
- 2θ = 34.73°, I 55
- 2θ = 38.22°, I 29
- 2θ = 47.39°, I 46

***

- What is the formula in the third record?
  La2Bi3Rh4

----------

(1)
Sr5P3O12F: simulated powder diffractogram (Cu Kα (λ = 1.5418 Å)), based on DFT lattice parameters and positions (PBE).
No peak broadening, texture or thermal motion is included.

Atomic structure:
a b c (Å): 9.8499 9.8499 7.3592
angles (deg): 90.00 90.00 120.00
Space group P6_3/m (No. 176)
Unique sites:
Sr  0.0114  0.2533  0.2500
Sr  0.3333  0.6667  0.9996
P  0.0312  0.3991  0.7500
O  0.0836  0.3442  0.5789
O  0.1187  0.5820  0.7500
O  0.1498  0.6698  0.2500
F  0.0000  0.0000  0.2500

Main lines, in order of rising 2θ (2θ from 15° to 90°):
| two_theta | I (rel.) | index |
| --- | --- | --- |
| 26.4 | 18 | 1 0 2 |
| 27.7 | 17 | 2 1 0 |
| 30.3 | 100 | 1 1 2 |
| 31.5 | 32 | 3 0 0 |
| 44.3 | 19 | 2 2 2 |
| 45.6 | 14 | 1 3 2 |
| 46.5 | 21 | 2 1 3 |
| 48.1 | 13 | 3 2 1 |
| 48.9 | 13 | 1 4 0 |
| 49.4 | 16 | 4 0 2 |

***

(2)